-- Brief --
Next, quote the material below word for word.

-- Material --
/*
Np2MoO8: computed powder X-ray diffraction pattern (a wavelength of 1.5418 Å), based on a structure optimized by DFT (GGA+U).

Cell and atoms:
a b c (Å): 4.6115 5.8121 7.8513
angles (deg): 103.21 98.36 103.13
Sites, in units of the cell vectors:
Np: 0.0989 0.2326 0.2058
Np: 0.9011 0.7674 0.7942
Mo: 0.5000 0.5000 0.0000
O: 0.1022 0.2508 0.4388
O: 0.1160 0.1858 0.9402
O: 0.3045 0.5870 0.2065
O: 0.3376 0.7100 0.8524
O: 0.6624 0.2900 0.1476
O: 0.6955 0.4130 0.7935
O: 0.8840 0.8142 0.0598
O: 0.8978 0.7492 0.5612

Main lines, in order of rising 2θ (2θ = 15–90°):
17.34°, I = 85
20.22°, I = 40
21.22°, I = 25
22.30°, I = 66
22.66°, I = 100
25.21°, I = 74
28.22°, I = 37
34.59°, I = 26
35.10°, I = 26
37.61°, I = 31

---

NpMoO5: computed powder X-ray diffraction pattern (a wavelength of 1.5418 Å), based on a structure optimized by DFT (GGA+U).

Cell and atoms:
a b c (Å): 5.5103 5.5103 4.1382
angles (deg): 106.67 106.67 94.82
Sites, in units of the cell vectors:
Np: 0.0000 0.0000 0.0000
Mo: 0.5000 0.5000 0.0000
O: 0.0000 0.0000 0.5000
O: 0.2705 0.7295 0.0000
O: 0.2918 0.2918 0.2212
O: 0.7082 0.7082 0.7788
O: 0.7295 0.2705 0.0000

Main lines, in order of rising 2θ (2θ = 15–90°):
17.08°, I = 51
21.91°, I = 100
23.74°, I = 85
24.34°, I = 25
26.39°, I = 65
27.03°, I = 52
32.52°, I = 50
34.56°, I = 42
35.06°, I = 34
52.97°, I = 21

---

RbNpMoO6: computed powder X-ray diffraction pattern (a wavelength of 1.5418 Å), based on a structure optimized by DFT (GGA+U).

Cell and atoms:
a b c (Å): 7.6293 7.6293 7.6293
angles (deg): 122.08 118.19 89.80
Sites, in units of the cell vectors:
Rb: 0.3791 0.1291 0.2500
Rb: 0.6209 0.8709 0.7500
Np: 0.0000 0.5000 0.5000
Np: 0.5000 0.5000 0.0000
Mo: 0.0000 0.0000 0.5000
Mo: 0.0000 0.5000 0.0000
O: 0.0536 0.8036 0.2500
O: 0.0603 0.4298 0.2384
O: 0.0603 0.8219 0.6305
O: 0.3086 0.1781 0.7384
O: 0.3086 0.5702 0.1305
O: 0.3235 0.5735 0.7500
O: 0.6765 0.4265 0.2500
O: 0.6914 0.4298 0.8695
O: 0.6914 0.8219 0.2616
O: 0.9397 0.1781 0.3695
O: 0.9397 0.5702 0.7616
O: 0.9464 0.1964 0.7500

Main lines, in order of rising 2θ (2θ = 15–90°):
27.05°, I = 100
27.54°, I = 50
27.95°, I = 31
28.13°, I = 60
29.29°, I = 50
44.24°, I = 21
44.57°, I = 19
47.73°, I = 50
55.77°, I = 17
66.26°, I = 19

---

RbNp2MoO8: computed powder X-ray diffraction pattern (a wavelength of 1.5418 Å), based on a structure optimized by DFT (GGA+U).

Cell and atoms:
a b c (Å): 5.0911 5.1001 7.2468
angles (deg): 89.11 89.08 86.97
Sites, in units of the cell vectors:
Rb: 0.0000 0.0000 0.0000
Np: 0.4871 0.4870 0.2628
Np: 0.5129 0.5130 0.7372
Mo: 0.0000 0.0000 0.5000
O: 0.2185 0.7773 0.2961
O: 0.2249 0.7840 0.7038
O: 0.3045 0.3068 0.4859
O: 0.3428 0.3465 0.9466
O: 0.6572 0.6535 0.0534
O: 0.6955 0.6932 0.5141
O: 0.7751 0.2160 0.2962
O: 0.7815 0.2227 0.7039

Main lines, in order of rising 2θ (2θ = 15–90°):
17.43°, I = 77
24.08°, I = 99
25.40°, I = 81
30.07°, I = 100
30.51°, I = 79
35.28°, I = 48
45.95°, I = 37
46.87°, I = 31
47.77°, I = 32
48.07°, I = 26

----------

[1]
This entry pairs a crystal structure of Cu4PdPt with its computed XRD peak list. Radiation: Cu Kα (λ = 1.5418 Å). Structure: a structure optimized by DFT (GGA-PBE).
Kinematic intensities with the Lorentz-polarization factor, no thermal factor.

The 8 most intense peaks (5 to 70 degrees two-theta), by angle:
- 19.8 deg, intensity 11, hkl 0 1 1
- 24.3 deg, intensity 16, hkl 0 2 0
- 41.6 deg, intensity 100, hkl 1 2 1
- 41.8 deg, intensity 99, hkl 1 2 -2
- 47.5 deg, intensity 34, hkl 2 0 -1
- 48.3 deg, intensity 33, hkl 0 0 3
- 49.7 deg, intensity 30, hkl 0 4 0
- 69.9 deg, intensity 10, hkl 2 0 2

Structural model:
a b c (Å): 3.828 7.339 5.958
angles (deg): 90.00 108.44 90.00
Atoms (fractional coordinates):
Cu  0.000  0.000  0.000
Cu  0.000  0.500  0.000
Cu  0.336  0.000  0.671
Cu  0.336  0.500  0.671
Cu  0.500  0.250  0.001
Cu  0.500  0.750  0.999
Cu  0.664  0.000  0.329
Cu  0.664  0.500  0.329
Pd  0.162  0.750  0.324
Pd  0.838  0.250  0.676
Pt  0.161  0.250  0.322
Pt  0.839  0.750  0.678


[2]
*/

-- Completed --
Np2MoO8: computed powder X-ray diffraction pattern (a wavelength of 1.5418 Å), based on a structure optimized by DFT (GGA+U).

Cell and atoms:
a b c (Å): 4.6115 5.8121 7.8513
angles (deg): 103.21 98.36 103.13
Sites, in units of the cell vectors:
Np: 0.0989 0.2326 0.2058
Np: 0.9011 0.7674 0.7942
Mo: 0.5000 0.5000 0.0000
O: 0.1022 0.2508 0.4388
O: 0.1160 0.1858 0.9402
O: 0.3045 0.5870 0.2065
O: 0.3376 0.7100 0.8524
O: 0.6624 0.2900 0.1476
O: 0.6955 0.4130 0.7935
O: 0.8840 0.8142 0.0598
O: 0.8978 0.7492 0.5612

Main lines, in order of rising 2θ (2θ = 15–90°):
17.34°, I = 85
20.22°, I = 40
21.22°, I = 25
22.30°, I = 66
22.66°, I = 100
25.21°, I = 74
28.22°, I = 37
34.59°, I = 26
35.10°, I = 26
37.61°, I = 31

---

NpMoO5: computed powder X-ray diffraction pattern (a wavelength of 1.5418 Å), based on a structure optimized by DFT (GGA+U).

Cell and atoms:
a b c (Å): 5.5103 5.5103 4.1382
angles (deg): 106.67 106.67 94.82
Sites, in units of the cell vectors:
Np: 0.0000 0.0000 0.0000
Mo: 0.5000 0.5000 0.0000
O: 0.0000 0.0000 0.5000
O: 0.2705 0.7295 0.0000
O: 0.2918 0.2918 0.2212
O: 0.7082 0.7082 0.7788
O: 0.7295 0.2705 0.0000

Main lines, in order of rising 2θ (2θ = 15–90°):
17.08°, I = 51
21.91°, I = 100
23.74°, I = 85
24.34°, I = 25
26.39°, I = 65
27.03°, I = 52
32.52°, I = 50
34.56°, I = 42
35.06°, I = 34
52.97°, I = 21

---

RbNpMoO6: computed powder X-ray diffraction pattern (a wavelength of 1.5418 Å), based on a structure optimized by DFT (GGA+U).

Cell and atoms:
a b c (Å): 7.6293 7.6293 7.6293
angles (deg): 122.08 118.19 89.80
Sites, in units of the cell vectors:
Rb: 0.3791 0.1291 0.2500
Rb: 0.6209 0.8709 0.7500
Np: 0.0000 0.5000 0.5000
Np: 0.5000 0.5000 0.0000
Mo: 0.0000 0.0000 0.5000
Mo: 0.0000 0.5000 0.0000
O: 0.0536 0.8036 0.2500
O: 0.0603 0.4298 0.2384
O: 0.0603 0.8219 0.6305
O: 0.3086 0.1781 0.7384
O: 0.3086 0.5702 0.1305
O: 0.3235 0.5735 0.7500
O: 0.6765 0.4265 0.2500
O: 0.6914 0.4298 0.8695
O: 0.6914 0.8219 0.2616
O: 0.9397 0.1781 0.3695
O: 0.9397 0.5702 0.7616
O: 0.9464 0.1964 0.7500

Main lines, in order of rising 2θ (2θ = 15–90°):
27.05°, I = 100
27.54°, I = 50
27.95°, I = 31
28.13°, I = 60
29.29°, I = 50
44.24°, I = 21
44.57°, I = 19
47.73°, I = 50
55.77°, I = 17
66.26°, I = 19

---

RbNp2MoO8: computed powder X-ray diffraction pattern (a wavelength of 1.5418 Å), based on a structure optimized by DFT (GGA+U).

Cell and atoms:
a b c (Å): 5.0911 5.1001 7.2468
angles (deg): 89.11 89.08 86.97
Sites, in units of the cell vectors:
Rb: 0.0000 0.0000 0.0000
Np: 0.4871 0.4870 0.2628
Np: 0.5129 0.5130 0.7372
Mo: 0.0000 0.0000 0.5000
O: 0.2185 0.7773 0.2961
O: 0.2249 0.7840 0.7038
O: 0.3045 0.3068 0.4859
O: 0.3428 0.3465 0.9466
O: 0.6572 0.6535 0.0534
O: 0.6955 0.6932 0.5141
O: 0.7751 0.2160 0.2962
O: 0.7815 0.2227 0.7039

Main lines, in order of rising 2θ (2θ = 15–90°):
17.43°, I = 77
24.08°, I = 99
25.40°, I = 81
30.07°, I = 100
30.51°, I = 79
35.28°, I = 48
45.95°, I = 37
46.87°, I = 31
47.77°, I = 32
48.07°, I = 26

----------

[1]
This entry pairs a crystal structure of Cu4PdPt with its computed XRD peak list. Radiation: Cu Kα (λ = 1.5418 Å). Structure: a structure optimized by DFT (GGA-PBE).
Kinematic intensities with the Lorentz-polarization factor, no thermal factor.

The 8 most intense peaks (5 to 70 degrees two-theta), by angle:
- 19.8 deg, intensity 11, hkl 0 1 1
- 24.3 deg, intensity 16, hkl 0 2 0
- 41.6 deg, intensity 100, hkl 1 2 1
- 41.8 deg, intensity 99, hkl 1 2 -2
- 47.5 deg, intensity 34, hkl 2 0 -1
- 48.3 deg, intensity 33, hkl 0 0 3
- 49.7 deg, intensity 30, hkl 0 4 0
- 69.9 deg, intensity 10, hkl 2 0 2

Structural model:
a b c (Å): 3.828 7.339 5.958
angles (deg): 90.00 108.44 90.00
Atoms (fractional coordinates):
Cu  0.000  0.000  0.000
Cu  0.000  0.500  0.000
Cu  0.336  0.000  0.671
Cu  0.336  0.500  0.671
Cu  0.500  0.250  0.001
Cu  0.500  0.750  0.999
Cu  0.664  0.000  0.329
Cu  0.664  0.500  0.329
Pd  0.162  0.750  0.324
Pd  0.838  0.250  0.676
Pt  0.161  0.250  0.322
Pt  0.839  0.750  0.678


[2]